Words by Campbell Burns of Vacations.
This gear guide contains a lot of equipment that was essential to recording our first album, Changes (which you can listen to here). Writing and recording mostly took place at my home on York St in Mayfield, Newcastle. This was over a period of three to four months towards the end of 2017.
Over time we (aggressively) got noise complaints from some old people who were living next door, all of the recording then got moved to a studio I interned at called Sawtooth. I literally hauled all of my gear over to keep it as close to the home recordings as possible. The only thing that changed was the rooms and monitors.

Vacations’ coming-of-age record Changes is yet another piece of proof that excellent albums can be recorded on a shoestring budget.
Tascam 224
I didn’t actually record anything to tape, but I did use the Tascam 224 as a pre-amp. It was mainly used on my $10 TOA microphone that I found at an op-shop (more on that below) so I could shape the EQ before going in and give it some compression by pushing or overloading the pre-amp. This saved a lot of snare recordings because the 57 could sometimes come through lacking the punch we needed, so this second mic set-up would fill in all the gaps with a few adjustments.
Be There is the only song where one of the rhythm guitars was DI’ed through the Tascam it because it gave a particular lo-fi sound, like it was being played through an old radio.
Matt Freeman Squier P-Bass & Yamaha JX-8P
Even though there are two basses in this photo, we only used Jake’s Matt Freeman signature for recording Changes. The bass was completely stock except for the strings which we swapped out for flat wounds, this gave is a really lovely warm and rich sound. Coupled with an MXR M81, we had a lot more freedom over the tone by splitting the signal, which ran into my M-Audio interface, and blending the two together.
I tried mic’ing the bass through my Roland JC, Fender Twin, and Jake’s Ashdown 420 Rootmaster head (yes, that is a real amp) but I was never particularly happy with the sound and by running a DI, we could always record at anytime of the day without causing a ruckus.
The Yamaha JX-8P was borrowed from a friend of mine after I told him how I wanted to avoid using MIDI Logic/Garageband patches when possible because I felt like it was kinda ‘cheap’. That synth ended up being featured on Anything Could Happen, Telephones, and Soft.
We still ended up using some MIDI presets on album and once again, like with the bass, blended the tracks together to create a fuller sound. I ran a lot of tape echo and reverb for my synths which were mostly stock Logic plug-ins, I did use a few pedals for ACH like the Walrus Audio Julia and the EHX Memory Toy.
Macbook Pro
My Macbook was the workhorse behind recording and mixing this album, I used the latest version Logic Pro (which I torrented, I’m too poor to buy software) plus a few stock/Waves/Soundtoys plug-ins (also torrented or scored for free).
I was able to take my sessions with me on the go which resulted in a lot of mixing on tour or simply taking it from the home to the studio, I’m extremely appreciative of that because I can’t imagine being locked to a desktop setup these days.
Guyatone Mosrite Copy
I won this guitar thanks to a drunk eBay bid I made at 3am after I went out one night. I haven’t regretted it since, it’s my favourite guitar and a prized possession of mine. After a few services and hack jobs, like salvaging the bridge posts and getting rid of the butter knife tremolo bar is came with, it was up to a playing standard.
From a warm rich tone to something bright and sparkly, it covers everything I need. I can’t find anything else that sounds like it and that’s why it was the only guitar I used for the album.
(Also, if you bend the neck/body in it makes everything sound like a gorgeous de-tuned mess.)

/*
1.
The following is a DFT calculation (ωB97M-V/def2-TZVPD) of C3H9ClN3 as an isolated structure in a non-equilibrium geometry.

Geometry as ORCA input:
```
! RIJCOSX wB97M-V def2-TZVPD def2/J DEFGRID3
* xyz 1 1
C -0.420 0.725 -0.375
C -1.908 1.164 -0.003
C -0.269 -1.539 0.256
N 0.149 1.495 -1.186
N 0.020 -0.202 0.487
N 1.925 -0.140 0.406
Cl 3.053 -0.875 -0.748
H -2.041 1.496 1.099
H -2.216 1.963 -0.632
H -2.556 0.251 -0.229
H -0.013 -1.864 -0.766
H 0.230 -2.192 0.940
H -1.254 -1.816 0.579
H 1.144 1.263 -1.509
H 2.034 0.807 0.316
H 2.121 -0.536 1.366
*
```

Summary:
energy = -743.7309 Eh
LUMO energy = -0.24249 Ha

2.
The following is a DFT calculation (ωB97M-V/def2-TZVPD) of C28H50LiN2O19 as an isolated structure in a non-equilibrium geometry.

Geometry as ORCA input:
```
! RIJCOSX wB97M-V def2-TZVPD def2/J DEFGRID3
* xyz 1 1
C 3.621 -4.234 -0.751
C 2.138 -3.832 -0.590
N 1.287 -4.728 0.194
C 1.341 -6.131 -0.450
C 1.901 -4.942 1.614
C 2.169 -3.622 2.371
C -0.079 -4.300 0.273
C -0.795 -4.198 -1.088
O -1.993 -3.436 -0.836
C -3.042 -3.618 -1.860
H 4.146 -4.318 0.094
H 4.320 -3.579 -1.467
H 3.542 -4.918 -1.472
H 1.806 -3.654 -1.582
H 1.992 -2.872 -0.090
H 2.329 -6.736 -0.418
H 1.201 -5.864 -1.595
H 0.489 -6.571 -0.245
H 2.789 -5.474 1.761
H 1.127 -5.557 2.205
H 1.258 -3.036 2.291
H 3.078 -3.182 2.129
H 2.406 -3.805 3.484
H 0.016 -3.161 0.593
H -0.728 -5.001 0.987
H -1.258 -5.236 -1.618
H -0.431 -3.576 -1.893
H -2.602 -3.596 -2.889
H -3.654 -2.789 -1.766
H -3.538 -4.581 -1.835
Li -2.398 -1.237 -0.062
N -0.851 -0.111 -1.470
O -0.597 -0.212 -0.226
O -0.344 0.917 -2.041
O -1.954 -0.410 -1.875
C -1.015 4.398 0.354
C -2.279 3.935 1.145
C -3.585 3.980 0.374
O -3.821 2.670 0.110
C -3.044 1.878 0.671
O -3.180 0.720 0.886
O -2.208 2.549 1.371
H -0.191 4.399 1.088
H -1.221 5.292 0.041
H -0.875 3.694 -0.448
H -2.354 4.369 2.317
H -3.430 4.598 -0.430
H -4.624 4.381 0.845
C 2.511 3.690 -3.820
C 1.669 3.794 -2.567
C 2.408 3.602 -1.275
O 2.608 4.901 -0.811
C 1.705 5.646 -1.428
O 1.602 6.835 -1.199
O 1.025 5.020 -2.436
H 3.485 4.071 -3.616
H 1.929 4.253 -4.865
H 2.633 2.674 -4.334
H 1.023 2.800 -2.580
H 3.457 3.229 -1.168
H 1.685 3.173 -0.588
C -1.477 2.296 -5.252
C -2.735 2.095 -4.300
C -2.736 3.086 -3.097
O -3.994 3.634 -3.128
C -4.598 3.316 -4.259
O -5.717 3.722 -4.424
O -3.992 2.538 -4.949
H -1.539 1.369 -5.901
H -0.602 2.040 -4.658
H -1.481 3.160 -5.946
H -2.876 1.127 -4.039
H -1.977 3.862 -3.010
H -2.435 2.622 -2.151
C 0.722 -0.683 5.651
C 0.156 -1.812 4.932
C -1.317 -2.285 5.463
O -1.954 -2.193 4.260
C -1.206 -1.867 3.193
O -1.575 -1.723 2.027
O -0.038 -1.551 3.579
H 1.729 -0.571 5.255
H 0.632 -0.710 6.803
H 0.151 0.320 5.498
H 0.866 -2.546 5.312
H -1.842 -1.517 6.122
H -1.248 -3.146 6.180
C 0.579 1.911 2.275
C 1.951 1.279 2.471
C 2.232 0.119 1.370
O 3.490 0.525 0.882
C 3.783 1.866 1.213
O 4.797 2.539 0.860
O 2.883 2.302 2.035
H 0.206 2.636 2.989
H -0.102 1.138 2.400
H 0.183 2.297 1.274
H 2.287 0.827 3.485
H 1.771 -0.100 0.462
H 2.377 -0.860 1.621
*
```
*/
Random Toa Microphone
I found this microphone at an op-shop for $10, someone must of thought it sounded like trash but remember the saying “One man’s trash is another man’s treasure”.
This microphone was always taped to a 57 and pointed towards a snare (with a shirt over it), running through a pre-amp on a Tascam 224 and then through my M-Audio interface. During sessions we always favoured it over the 57, it had a certain flavour to it and it never sounded too clean or sterile.
Listen to Changes here, and be sure to catch Vacations live on their world tour. Dates below – grab all the details on the band’s Facebook page.